The U.S. Centers for Disease Control and Prevention’s (CDC) “Safer Activities” chart, which categorizes high-risk and low-risk activities for unvaccinated and vaccinated people, has fully vaccinated individuals wearing a mask for most activities, giving them little to no edge over the unvaccinated population in terms of masking.

The CDC released updated guidance on Tuesday for fully vaccinated individuals, as roughly 29 percent of the U.S. population is now considered “fully vaccinated.” Despite that status, the CDC is not recommending those individuals to revert to a state of pre-pandemic normalcy, urging them to continue to wear masks in certain social settings — such as visiting with members of more than one household —  and to avoid large gatherings.

The U.S. health agency released a chart titled “Choosing Safer Activities” to demonstrate the difference in risk between vaccinated people and unvaccinated people engaging in certain activities. Activities include visiting a hair salon, going to an uncrowded, indoor shopping center, riding on public transport, and more.

The chart shows vaccinated individuals getting the green light for all activities, both indoor and outdoor. However, only four activities, according to the graphic, should not include a mask. These include walking, running, or biking with members of your own household, attending a small, outdoor gathering with “fully vaccinated” family or friends, attending a small, outdoor gathering with both vaccinated and unvaccinated people, and dining at an outdoor restaurant with friends from multiple households. For all other activities, the figurehead representing the fully vaccinated person has a mask over their face.

Safe activities for fully vaccinated people requiring a mask include attending a “crowded, outdoor event,” visiting a hair salon, attending a small, indoor gathering full of both vaccinated and unvaccinated people from multiple households, attending a full-capacity worship service, eating at an indoor restaurant or bar, and participating in an indoor, high-intensity exercise class.

While the chart categorizes most of these basic activities as either “less safe” or “least safe” for unvaccinated people, fully vaccinated people do not appear to have a significant edge in terms of forgoing a mask.

/*
Record 1
This record from the Open Quantum Materials Database describes PrZnNO after structural relaxation. The functional is PBE.

a b c (Å): 3.7650 6.0769 5.4675
angles (deg): 90.00 90.00 90.00
With the nearest neighbours (Å) after each atom.
Space group Pmc2_1 (No. 26)
Inequivalent atoms, fractional coordinates:
Pr1 0.0000 0.2110 0.0000 (multiplicity 2)  2 O 2.27, 2 N 2.36-2.46
Zn1 0.5000 0.2970 0.5023 (multiplicity 2)  2 N 2.05, 2 O 2.07-2.08
N1 0.0000 0.1743 0.4480 (multiplicity 2)  2 Zn 2.05
O1 0.5000 0.3847 0.8692 (multiplicity 2)  2 Zn 2.07-2.08, 2 Pr 2.27

Output
- Distance to the lowest polymorph of the same formula: 90 meV per atom
- DFT total energy: -6.249 eV/atom

Record 2
This record from the Open Quantum Materials Database describes PrZnNO after structural relaxation. The functional is PBE.

a b c (Å): 4.9737 4.9737 4.7102
angles (deg): 90.00 90.00 90.00
With the nearest neighbours (Å) after each atom.
Space group P4/nmm (No. 129, origin choice 2)
Inequivalent atoms, fractional coordinates:
Pr1 0.2500 0.7500 0.0000 (multiplicity 2)  2 O 2.36, 4 N 2.49
Zn1 0.2500 0.2500 0.4730 (multiplicity 2)  1 N 2.05
N1 0.2500 0.2500 0.0386 (multiplicity 2)  1 Zn 2.05
O1 0.2500 0.7500 0.5000 (multiplicity 2)  2 Pr 2.36, 4 Zn 2.49

Output
- Distance to the lowest polymorph of the same formula: 322 meV per atom
- DFT total energy: -6.017 eV/atom


(1)
The following is a DFT calculation (PBE-GGA) of a relaxed structure of Rb2Al2Ag.

Cell lengths 11.0557, 11.0557, 3.1529 Å; angles 90.00, 90.00, 90.00 degrees
Closest atoms and distances in Å follow each position.
Fractional positions:
Rb: 0.2926 0.7926 0.0000  2 Rb 3.15
Rb: 0.7926 0.7074 0.0000  2 Rb 3.15
Rb: 0.7074 0.2074 0.0000  2 Rb 3.15
Rb: 0.2074 0.2926 0.0000  2 Rb 3.15
Ag: 0.0000 0.0000 0.0000  2 Ag 3.15
Ag: 0.5000 0.5000 0.0000  2 Ag 3.15
Al: 0.0807 0.5807 0.5000  1 Al 2.52
Al: 0.5807 0.9193 0.5000  1 Al 2.52
Al: 0.9193 0.4193 0.5000  1 Al 2.52
Al: 0.4193 0.0807 0.5000  1 Al 2.52

Computed properties:
DOS(E_F) in states/eV per cell: 4.9
Electronic total energy in eV for the cell shown: -19.115

(2)
The following is a DFT calculation (PBE-GGA) of a relaxed structure of Rb2Al2Ag.

Cell lengths 7.0997, 7.0997, 6.2343 Å; angles 90.00, 90.00, 90.00 degrees
Closest atoms and distances in Å follow each position.
Fractional positions:
Rb: 0.1865 0.6865 0.5000  6 Al 3.62-3.87, 5 Rb 3.66-3.75
Rb: 0.6865 0.8135 0.5000  6 Al 3.62-3.87, 5 Rb 3.66-3.75
Rb: 0.8135 0.3135 0.5000  6 Al 3.62-3.87, 5 Rb 3.66-3.75
Rb: 0.3135 0.1865 0.5000  6 Al 3.62-3.87, 5 Rb 3.66-3.75
Ag: 0.0000 0.0000 0.0000  4 Al 2.78
Ag: 0.5000 0.5000 0.0000  4 Al 2.78
Al: 0.3690 0.8690 0.0000  1 Al 2.63, 2 Ag 2.78
Al: 0.8690 0.6310 0.0000  1 Al 2.63, 2 Ag 2.78
Al: 0.6310 0.1310 0.0000  1 Al 2.63, 2 Ag 2.78
Al: 0.1310 0.3690 0.0000  1 Al 2.63, 2 Ag 2.78

Computed properties:
DOS(E_F) in states/eV per cell: 7.4
Electronic total energy in eV for the cell shown: -21.795

(3)
*/

The CDC’s April 27th guidance reinforces many of these suggestions, urging fully vaccinated people to wear a “well-fitted mask” in certain social settings.

U.S. health officials have yet to say when Americans will no longer be expected to wear a mask in most social settings. President Biden has also failed to say when masks will be a thing of the past despite his original call for “just” 100 days of masking.